Thursday, May 28, 2009

Exploitation of Jewelry Customers by using Misnomers and Misrepresentations - Part I

Very often we come across friends and clients who have at various occasions bought jewelry which is not exactly what they had expected it to be. On air, I often come across queries as to how one can be sure whether the stone they bought is a diamond or not. I have come across some whose beautiful yellow colored gemstone, 'pukhraj' bought at an unbelievable price turned out to be a more commonly available, not-so-expensive topaz, tourmaline, quartz or worse still, a piece of glass.

# Inserted here: records of molecules
=====
1.
A structure of composition C27H52BrGeKN3O9P, computed with wB97M-V/def2-TZVPD.

CARTESIAN COORDINATES (ANGSTROEM)
H (-3.21672, -3.94245, 3.78144)
H (2.85432, 1.66537, 1.40735)
C (4.60408, 3.11269, -2.97272)
C (3.01882, 2.42338, 0.63791)
H (4.97989, -0.99058, 1.77944)
H (-4.09003, -0.41581, 2.94113)
C (-2.62482, -2.38857, -2.18554)
H (-2.74739, 1.00068, -2.82427)
H (-0.80218, 3.42565, -4.16777)
C (-1.66220, 2.09906, 1.72377)
H (-1.40398, 4.00415, 0.68589)
H (-0.54611, 3.41660, 3.06802)
H (-4.05494, -0.08796, -2.34198)
C (-3.10727, -0.02915, -2.87932)
H (0.76491, -5.38245, -3.05940)
H (4.34972, -2.48924, 0.93673)
H (3.49432, 2.58520, -4.75054)
O (1.17397, 2.38210, -2.68405)
H (5.04349, 2.12153, -2.82962)
C (-3.55199, -1.26027, 3.37946)
H (0.18770, -0.82923, 2.95305)
H (0.77985, 4.02559, -4.68319)
H (4.02115, 2.25108, 0.24474)
H (-1.64447, -3.17878, 3.48705)
C (-3.26525, -2.33067, 2.32642)
H (1.38542, 4.40355, -2.25612)
H (-3.81929, 2.36225, 1.56122)
C (-4.57139, -2.82203, 1.69559)
C (0.60957, 3.70083, -2.56270)
H (1.53540, 0.00031, 4.63249)
N (0.63382, -3.24424, -0.46576)
H (3.56399, 3.96631, 2.03042)
H (-0.37804, 2.68585, 0.10356)
H (-4.34756, -3.55869, 0.92075)
H (0.39780, 2.08051, 2.39029)
H (-2.61484, -0.89580, 3.80754)
N (0.58123, -1.53285, 3.57121)
H (3.75742, 4.32262, -4.54255)
C (-0.82884, -5.10299, -0.08713)
H (5.09065, 3.27813, -5.06067)
H (-0.02356, -1.57216, -2.67465)
P (2.52739, 1.92540, -1.93764)
C (2.96754, -0.69328, 3.21026)
H (0.88044, -2.28143, 2.95140)
O (3.80018, 0.16752, 3.48226)
C (0.97434, -3.78983, -1.62659)
H (-3.26235, 1.83820, 3.15922)
Br (-1.21762, -7.28510, -1.88210)
H (1.85758, 3.97801, 1.56160)
H (-0.40779, 0.07763, -3.18246)
C (-0.58445, 2.36280, 2.77972)
H (-1.86834, -3.07710, -1.81085)
C (4.11651, -1.51259, 1.37266)
O (2.03691, 2.21541, -0.39808)
C (2.87465, 3.81886, 1.19828)
C (-0.79618, -0.94147, -3.11443)
O (-1.68686, -0.51741, -0.98128)
H (-5.21245, -3.29302, 2.44693)
C (-2.06541, -0.96946, -2.26464)
H (-0.98892, -1.30231, -4.12885)
C (3.80592, -0.77034, -0.17631)
C (1.78485, -0.94801, 4.15210)
O (2.68608, -1.02427, -0.59028)
H (5.33746, 3.85386, -2.65130)
H (-3.47862, -2.42188, -1.50555)
H (-1.55389, -5.58679, 0.55102)
O (3.47915, 3.26560, -2.09806)
C (-3.02750, 2.47362, 2.30337)
H (3.08814, 4.56000, 0.42668)
C (0.02200, 4.08785, -3.90107)
C (-1.37386, 2.93042, 0.47583)
K (0.47552, -0.23633, 0.02973)
H (-2.95391, -2.73562, -3.16977)
H (-2.10688, 2.71060, -0.30456)
C (4.21032, 3.33785, -4.41685)
C (-2.57091, -3.50856, 3.01269)
O (4.77443, -0.13853, -0.56236)
C (0.45856, -4.98681, -2.10181)
H (-0.78383, 1.76343, 3.66983)
H (1.70565, -3.23869, -2.21058)
H (-0.35468, 5.11194, -3.86791)
O (-2.38999, -1.84797, 1.32224)
H (-2.35165, -4.28854, 2.28296)
H (-3.01910, 3.51293, 2.64422)
H (-0.15719, 3.67671, -1.79061)
H (-5.12454, -1.99995, 1.23725)
H (-4.17125, -1.67246, 4.18167)
C (-0.25358, -3.89014, 0.28022)
N (2.98046, -1.53561, 2.13033)
H (-0.55824, -3.40555, 1.19944)
C (-0.45964, -5.64593, -1.30197)
=====

In short, we are talking about the mis-representation of information and misnomers used to sell stones. Before we go on, it is very important to understand the meaning of imitation, treated and synthetic stones.

Let us take an example of a diamond. A natural diamond is a rare beauty formed in the nature with no human intervention. This is the most sought after and the most expensive of its kind. If a natural diamond is treated under high pressure or temperature, or it is subjected to any other form of treatment other than cutting, to enhance its appearance to alter the color or clarity, such a diamond would be called 'treated'. Some treatments such as HPHT (High pressure high temperature) are permanent whereas some others such as fracture filling may wear off over a period of time or by chemical interaction such as perfume or heat in the kitchen etc.

If an exact replica or clone of a diamond is to be created in the laboratory, then such a diamond is called 'synthetic diamond' or sometimes a cultured diamond. A synthetic stone is chemically and physically the same as a natural stone. The difference between the value of a natural and synthetic stone makes it very important for one to be able to make out the difference between the two.
Interesting observation: Sometimes though rarely, the synthetic counterpart of a stone looks more beautiful than the natural one such as in the case of a Synthetic moissanite.

A piece of glass, a rock crystal quartz, synthetic moissanite, cubic zirconia and other colorless stones that looks like a diamond can be used to replace a diamond because they match the color of a diamond. These are known as 'imitation' stones because they are used to imitate precious and semi precious gemstones. Usually they are no where related to the chemical properties of the natural stone but look alike.

'Misnomers' are special names given to common stones to make them sound more appealing and more coveted. For example, the stone commonly known as the 'Australian jade' is actually a misnomer for a fairly commonly available Chrysoprase which even in its best quality when it looks very similar to jade is not as precious or expensive as the jade. A common misnomer for yellow Topaz is golden pukhraj which is used to imitate a yellow sapphire. Misnomers are not illegal, which makes it very hard for a buyer to take action against this unethical practice.

When a false piece of information is used to sell a jewel or stone, or when facts are bent to make the sale, such false information is known as 'mis-representation'. For example, if a pink sapphire is sold to you under the name of a ruby, a synthetic stone is sold as natural, a treatment which is not permanent is sold as permanent, then such information is mis-represented to you. If a synthetic stone is not declared as synthetic or the purity of metal is falsely reported, these are all cases of mis-representation of information. Usually this is an illegal practise, but sometimes, the question is not so much about legal but more about ethics.

Name of stone
HPHT synthetic diamond
CVD synthetic diamond
HPHT for color enhancement
Laser drilling for clarity enhancement
Fracture filling for clarity
Coloring the girdle for color enhancement
Synthetic Moissanite
Cubic zirconia
Rock crystal quartz
Colorless topaz
Synthetic ruby
Heat treatment

Cubic zirconia
Red beryl
Synthetic sapphire
Heat treatment
Blue topaz
Cubic zirconia
Synthetic emerald
Fracture filling
Green beryl
Green sapphire
Aventurine quartz

Coming up next: Misnomers and Mis-representation Part 2: How to identify treated, imitations and synthetics from the natural untreated stone.

Look out for information about misrepresentation and unethical practices in selling gold ornaments and other metals.

Tuesday, May 12, 2009

नीलम: ब्लू सफायर

नवरत्न के नव ग्रहों के नीले रंग को सजाता हुआ ये नीला नीला पत्थर नीलम के नाम से जाना जाता हैअंग्रेजी मेंइसे सफायर बोलते हैं. सप्तम्बर महीने में जन्में लोगों की राशि का यह रत्ना कई विवादों में घिरा रहता हैइस पोस्टमें आप पायेंगे नीलम की ऐतिहासिक खूबियाँ, इसे खरीदने की जानकारी, नीलम की सही पहचान, ज्योतिषी केमानने वाली बातें, नीलम के बेह्रूपियाँ और मानव निर्मित नीलम के बारे में

Misplaced molecular data >
┌──
Entry 1:
{"formula": "C4H6NaO2", "method": "the ωB97M-V functional and the def2-TZVPD basis", "mol_weight_g_mol": 109.08, "de_lowest_kj_mol": 58.1, "lumo_energy_ev": [-0.734, -1.025], "gap_ev": [6.48, 6.64], "spin_multiplicity": 2, "symbols": ["O", "C", "C", "C", "C", "O", "Na", "H", "H", "H", "H", "H", "H"], "coordinates": [[-2.697, 1.245, 0.302], [-1.767, 0.388, 0.794], [-0.475, 0.327, 0.433], [0.546, -0.696, 0.410], [1.814, -0.370, -0.390], [1.583, -0.389, -1.748], [-0.059, 0.038, -2.734], [-2.278, 1.922, -0.243], [-2.159, -0.199, 1.633], [0.112, -1.667, 0.111], [0.599, -0.119, 1.558], [2.593, -1.102, -0.080], [2.189, 0.623, -0.048]]}

---

Entry 2:
{"formula": "C23H41IP2Tl", "method": "the ωB97M-V functional and the def2-TZVPD basis", "mol_weight_g_mol": 710.82, "total_charge": 1, "de_lowest_kj_mol": 79.8, "lumo_energy_ev": [-6.527, -6.537], "gap_ev": [4.04, 4.03], "symbols": ["Tl", "C", "C", "C", "C", "C", "C", "H", "H", "H", "C", "H", "H", "H", "C", "H", "H", "H", "C", "H", "H", "H", "C", "H", "H", "H", "C", "C", "C", "C", "C", "C", "C", "C", "H", "H", "H", "H", "H", "H", "H", "H", "H", "H", "H", "H", "P", "C", "C", "P", "C", "C", "C", "H", "H", "H", "H", "H", "H", "H", "H", "H", "H", "H", "H", "H", "H", "I"], "coordinates": [[0.578, 2.249, 2.154], [3.755, 0.444, 3.017], [4.071, 0.424, 1.634], [3.659, 2.607, 2.244], [3.478, 1.785, 3.391], [4.000, 1.761, 1.153], [3.545, -0.742, 3.872], [3.193, -1.605, 3.291], [2.783, -0.547, 4.645], [4.459, -1.064, 4.399], [2.847, 2.212, 4.661], [2.542, 1.347, 5.264], [1.938, 2.821, 4.493], [3.515, 2.815, 5.295], [3.319, 4.047, 2.137], [4.124, 4.726, 2.471], [2.421, 4.309, 2.721], [3.118, 4.333, 1.096], [3.979, 2.172, -0.263], [4.962, 2.497, -0.644], [3.282, 3.014, -0.424], [3.633, 1.352, -0.913], [4.182, -0.787, 0.795], [5.207, -1.080, 0.522], [3.632, -0.656, -0.149], [3.752, -1.661, 1.303], [-0.964, -0.219, 2.390], [0.039, -1.104, 2.310], [0.432, -1.871, 1.109], [0.241, -1.300, -0.308], [0.651, 0.093, -0.615], [-0.180, 1.131, -0.474], [-1.549, 1.091, 0.115], [-1.907, 0.123, 1.288], [-0.178, -2.807, 1.035], [-0.812, -1.457, -0.633], [1.501, -2.117, 1.261], [-2.328, -0.808, 0.873], [-1.329, 0.103, 3.371], [0.578, -1.402, 3.210], [-2.743, 0.651, 1.780], [-1.807, 2.120, 0.441], [0.084, 2.116, -0.850], [-2.279, 0.800, -0.673], [0.894, -1.947, -0.927], [1.614, 0.197, -1.110], [-3.149, -2.070, -1.994], [-4.589, -2.213, -0.853], [-3.164, -3.833, -2.531], [-2.834, -0.397, -4.362], [-4.106, -1.362, -3.415], [-2.738, -1.482, -5.847], [-4.025, 0.788, -5.116], [-4.873, -1.208, -0.527], [-4.283, -2.810, 0.013], [-5.433, -2.697, -1.361], [-4.184, -4.150, -2.783], [-2.798, -4.414, -1.676], [-2.500, -3.980, -3.388], [-4.859, 0.263, -5.596], [-3.472, 1.371, -5.858], [-4.400, 1.445, -4.326], [-4.860, -0.652, -3.045], [-4.603, -2.149, -4.007], [-2.197, -0.907, -6.608], [-3.740, -1.732, -6.213], [-2.176, -2.389, -5.604], [-0.948, 4.411, 3.343]]}

---

Entry 3:
└──
Back to the text >

नीलम की पहचान
कोरंदम परिवार के नीले रंग में पाये जाने वाले रत्ना को नीलम कहते हैंसंस्कृत में कुरुविन्दा के नाम से पहचानेजाने वाला ये पत्थर कई रंगों में आता हैलाल रंग में इसे मणि या रूबी कहेते हैं, पीले रंग में पुखराज या येल्लोसफायर, नारंगी में पाद्पराषा और अन्य रंगों में इसे उसी रंग के नाम से जानते हैं जैसे की पर्पल सफायर, पिंकसफायर इत्यादि
इसाई संस्कृति में माना जाता है की मोसेस (Moses) को इश्वर की गस आज्ञाएँ नीलम की पटरी पर लिख कर दीगईं थींइसी कारण से नीलम को "पवित्र रत्न" (Divine Gemstone) का दर्जा मिल गया
इसके नीले रंग के भी कई किस्से हैंप्राचीन फ़ारसी (Ancient Persians) लोगों का विश्वास था की धरती एकबोहुत ही बड़ा नीलम के गोले पर स्थापित है जिसकी परछाई से ही आसमान का रंग नीला है
नीले रंग के पत्थरों में सबसे ख़ास और महंगा नीलम ही माना जाता है। ये Mohs स्केल (मोह के स्केल) पर ९ की संख्या पर उभरता है। इसका मतलब है की नीलम काफ़ी सख्त होता है और आम तौर पर ये रोज मर्रा के गहनों में पहना जा सकता है।
नीलम की पहचान इसके रंग, इसकी कठोरता संख्या, और इसके अन्दर पाई जाने वाली खूबियों से होती है

नामवर नीलम
नीलम की इतिहास में एक अलग ही जगह है। कई हस्तियों ने, राजाओं ने, महाराजाओं ने अलग अलग समय पर नीलम को गौरव दिया है। मुघल काल का "पीकॉक थ्रोन" एक बोहुत ही उच्च आदर्श है नीलम के रंगों का। इस बहू मूल नमूने में नीलम के साथ साथ तुर्मालीन, फीरोज़ा, आईओलाईट, मीना के भी रंगों का मेल है पर सबसे प्रभावी नीलम का ही असर है।
मोर की गर्दन के पीलेपन से मेल करने वाले रंग का ये पत्थर सच्चाई, राजशुल्क, निष्ठां का प्रतीक है। मंगनी की अंगूठियों में भी नीलम सुंदर लगता है। राजकुमार चार्ल्स (Prince Charles) ने राजकुमारी दैआना (Princess Diana) को, राजकुमार ऐल्बर्ट (Prince Albert) ने महारानी विक्टोरिया (Queen Victoria) को और माइकेल विल्डिंग (Michael Wilding) ने ऐलिज़ाबेथ टेलर (Elizabeth Taylor) को नीलम से सजे गहने कई अवसरों पर भेंट किए हैं।
हॉलीवुड की जानी मानी हस्ती, मेरी पिक्फोर्ड (Mary Pickford) दो बोहुत ही खूबसूरत एवं महंगे नीलम की मालकिन रह चुकी हैं... १८२ (182 कैरेट) का "स्टार ऑफ़ बॉम्बे" और ५०० (500 कैरेट) से ऊपर "स्टार ऑफ़ इंडिया" दोनों ही नीलम जो भारत के अनमोल खजानों से उत्तपन्न हुए हैं।
अपने बॉलीवुड के शहनशाह, अमिताभ बच्चन भी नीलम को बोहुत पसंद करते हैं। आप उनके दोनों नीलम को देख सकतें हैं उनकी सिनेमा "कभी अलविदा न कहना" में और "कौन बनेगा करोढ़पति" में।

नीलम का प्रभाव
ये अनमोल रत्न शनी की दशा से मुक्ति पाने के लिए निर्धारित किया जाता है। कहते हैं की शनी का असर निष्प्रभाव करने के लिए नीलम को पीले सोने में स्थापित करके दाहिने हाथ की बीच की उंगली में पहनना चाहिए। दो कैरेट का नीलम आम तौर पर सिफारिश किया जाता है और जितना गहरा इसका नीलापन, उतना ही ज्यादा इसका प्रभाव।
मानने वालों का विशवाश है की नीलम हर किसी के लिए अनुकूल नही होता।
परन्तु ये भी कहते हैं की हीरे मेंनीलम की शक्ती को निष्प्रभाव करने का यत्न होता हैइसी लिए, अगर आपको नीलम अति सुंदर लगता है, परआप इसे पहनने से घबराते हैं, तो तुल्य शक्ती और माप का हीरा साथ में पहन लें तो ये आपको परेशान नही करनाचाहिए

नीलम के लक्षण
नीलम की खूबियों में से सबसे ज़रूरी है उसका रंगरंग पनीला होना चाहिए, ज्यादा गहरास्याही के रंग केनीलम ऑस्ट्रेलिया से आते हैं और ये बोहुत उच्च नही माने जातेअच्छी किस्म के नीलम का रंग गुंजायमान होनाचाहिएपत्थर के अंतर्वेशन उसकी चमक के ऊपर भावी नही होने चाचिए
नीलम अनेक आकर में मिलता है तो आप ध्यान दीजिये की इसे किस प्रकार के गहने में लगना हैयदि कान काआभूषण है, तो नीलम गहरे रंग का भी चलेगा परन्तु अगर उंगली पर सज्जित या गले पर सजने वाला है तो इसकारंग चमकदार होना चाहिए

कहाँ से खरीदें
भारत में जयपुर में अक्सर आप नीलम का व्यापार पायेंगेखरीदने के लिए अधिकतर जोहरी इसका पेशा करतेहैंन्यू जर्सी में, आप ओक ट्री रोड के सभी नामी जोहरियों के पास नीलम के नमूने पा सकते हैंअमेरिकन गुकानोंमें आप नीलम के बने गहने पा सकते हैंयदि आपको नीलम खरीदने में सहायता की जारूरत है तो बेहिजक मुझेपत्र भेजिए पर

नीलम की खोज
सबसे प्राचीन खदान श्री लंका या सिलोन (Ceylon) में स्थापित हैंसीलोन सफायर आम बाज़ार में समृद्ध हैं परसबसे ज्यादा प्राप्य नीलम ऑस्ट्रेलिया की खनदान से आते हैंये आस्ट्रेलियन सफायर स्याही के रंग की तरहकरीब करीब काले होते हैंइनकी कीमत भी काफ़ी कम होती हैइनके ऊपर कई आचरण किए जाते हैं जिससेइनका रंग निखर जाएइनको अक्सर रंगा भी जाता है और गरम तापमान में झुलसाया जाया है
सबसे खूबसूरत और कीमती नीलम भारत में कशमीर की वादियों से उत्पन्न होते हैंवहाँ के नीलम का ख़ास नीलारंग एक मखमली तेज देता है जो केवल बोहुत ठंडे इलाके में, ओक्सिजेन्न की कमी में काफ़ी कसाव के नीचे बनसकता हैकाशमीर की राजनेतिक अशांति और काश्मीर के कठोर वातावरण के कारण काशमीरी नीलम पानाबोहुत ही मुश्किल हैपरन्तु इसी वजह से ये नीलम बोहुत ज्यादा तलाशा भी जाता है

कोई प्रशन?
यदि नीलम को खरीदने, बेचने या संभालने से सम्बंधित आपके पास कोई विवाद या प्रशन है तो बेहिजक मुझे पत्रलिखिए, परआप मेरा कार्यक्रम रेडियो पर भी सुन सकते हैं हर हफ्ते 10 से12 बजे EST मंगलवार (Tuesday) को पर या 1170 am पर

Thursday, May 07, 2009

Why are diamonds expensive?

Diamonds are rare:
It is estimated that over 1.5 billion carats of diamonds lie around the coastline westward in the Orange River to the Atlantic Ocean. Over 90% of these are thought be of gem quality. In excess of $ 8 billion worth of diamonds are to be mined at the Ekati mines of Canada in the next 25 years. It is amazing the why one would consider this priceless gem as "rare".
Let us study what goes into actually getting one of these 'not so rare' gemstones into a piece of jewel and the expenses that make it so valuable.

The formation of a diamond:
The formation of a diamond requires a perfect combination of pressure and temperature which takes place deep inside the earth. The only passage of escape for these diamonds is to travel up the violent volcanic explosion to reach the earth's surface. It is crucial that the diamond takes no more than the adequate amount of time to travel up to the surface of the earth, and even a few moments in excess could destroy the identity of this diamond.

Retrieving the diamond from nature: Once the diamond has reached close to the earth's surface, it is up to human intervention to retrieve it. The prospect or search for a fruitful diamond bearing site is an expensive and tentative job which can take several years, money and equipment. Furthermore, not every diamond bearing site is profitable.
Once a site has been targeted, the cost of developing and operating the mines are just some of the factors that add to the cost of the diamond that we see in the market. Only few of these diamonds that survived their journey to reach human appreciation are of gem quality.

Separating After extraction of the material, gem quality diamond is segregated from the industrial quality. The diamond becomes a part of the parcel sold to the various site wholesalers or site holders. Millions of dollars, minds, hands and hours are put into the extraction of these gem quality diamonds each year.

Into the jewel:
The diamonds are then passed on for polishing and cutting. This is another vital part of the diamond industry which employs communities of people and consumes hours of service to produce what will then be sold to the wholesaler or retailer to further set into jewels.
The diamond jewelry, through further channels and media finally reaches the showroom of the retailer who can finally bring it up to its final owner.

Are diamonds worth it?
So when you do find this perfect piece of elegant brilliance in your hand, something that will last you through thick and thin, something that has survived the worst of its days and has come to you with love, you would think it is definitely worth it.
Moreover, once you calculate the cost of naturally forming, finding, mining, segregating, polishing and setting of gem quality diamonds, you will realize that what you are buying in a diamond is actually the rarity of the "biggest value in the smallest volume".

Wednesday, May 06, 2009

Comparing return policy of online jewelry stores

Online store name

Return Policy time frame and condition Exceptions

Anytime no time frame None in jewelry or loose stones

30 days
  • Damaged goods will not be returned
  • Return only in original packaging
  • Altered or re-sized by 3rd party goods
  • Engraved goods other than wedding rings
Ice Within 30 days : no questions asked full refund for products returned in original state that they were received
Defective merchandise can be sent for replacement/ repair within 90 days free of charge

  • Products which have been modified by another 3rd party jeweler or abused will not be accepted for exchange or refunds.
  • After 90 day warranty period repairs are conducted after a basic charge.
  • Additional shipping and handling charges for repair or replacement
Amazon 30 days for new, unopened items sold by collection or target products bought from amazon
  • Products with a value of $75 or more must be returned using a trackable shipping method and items above $500 must also be insured.
  • Resized, damaged, or otherwise altered is not accepted
  • Jewelry must be returned in new, unworn condition, and undergoes quality checks before return is accepted
  • All certificates of authenticity, grading, and appraisal must be returned with your merchandise. A 15% restocking fee will be applied to any items missing their original documentation.
  • Products bought from Amazon merchants will have a link on the purchase history giving you an option for your return and the return policy varies for each seller.
Zales 30 days
  • If for any reason you are dissatisfied with your purchase, you may return it within 30 days (of the date your order was shipped from our distribution center) for a full refund of the purchase price
  • You will lose the shipping & handling, unless you have received a damaged or incorrect item.
  • Exchanges must be made within 90 days
Kay 60 days return to or Kay Jewelers

== Inserted here: molecular data ==
~~~
Molecular formula: C35H28F3N3O3PdSSb
Method: DFT, wB97M-V/def2-TZVPD

Properties
* highest occupied orbital energy: -11.193 eV
* charge: +1
* energy relative to the best compared isomer or geometry (same formula, charge and spin): 0.0000 eV

Geometry (Å):
Pd -0.15 0.45 -0.30
O 0.10 -2.28 0.43
S -1.31 -2.22 0.09
O -1.74 -2.68 -1.21
N -1.74 -0.64 0.29
C -2.87 -0.26 -0.49
C -4.17 -0.48 -0.12
C -5.23 -0.14 -0.99
C -4.99 0.41 -2.22
C -3.66 0.68 -2.62
C -3.31 1.28 -3.85
C -2.00 1.55 -4.13
C -1.01 1.23 -3.17
N -1.31 0.67 -2.02
C -2.61 0.36 -1.73
C -2.17 -3.18 1.30
C -3.44 -3.64 1.00
C -4.12 -4.40 1.94
C -3.51 -4.71 3.15
C -2.22 -4.27 3.42
C -1.54 -3.50 2.49
H -4.38 -0.93 0.85
H -6.25 -0.33 -0.67
H -5.80 0.66 -2.88
H -4.09 1.53 -4.56
H -1.70 2.00 -5.06
H 0.03 1.46 -3.34
H -3.88 -3.43 0.03
H -5.11 -4.77 1.72
H -4.03 -5.32 3.88
H -1.74 -4.53 4.36
H -0.54 -3.15 2.69
C 3.85 1.16 -1.73
C 2.55 0.56 -1.29
N 2.47 -0.76 -1.20
O 1.60 1.32 -1.01
H 4.52 0.44 -2.18
H 4.33 1.60 -0.86
H 3.64 1.97 -2.44
H 3.28 -1.33 -1.41
H 1.65 -1.23 -0.83
F -2.62 -2.01 6.59
C -1.88 -1.48 5.60
C -2.51 -0.75 4.61
C -1.74 -0.23 3.59
C -0.36 -0.43 3.57
C 0.25 -1.15 4.59
C -0.52 -1.69 5.62
Sb 0.81 0.40 2.05
C 1.22 2.34 2.74
C 1.13 2.65 4.09
C 1.43 3.93 4.54
C 1.81 4.88 3.60
F 2.09 6.12 4.03
C 1.90 4.60 2.25
C 1.59 3.32 1.82
C 2.68 -0.53 2.31
C 3.79 0.22 2.68
C 5.04 -0.37 2.83
C 5.15 -1.73 2.60
F 6.34 -2.32 2.75
C 4.06 -2.51 2.24
C 2.83 -1.90 2.09
H -3.58 -0.62 4.65
H -2.22 0.32 2.79
H 1.32 -1.31 4.59
H -0.07 -2.26 6.43
H 0.83 1.90 4.81
H 1.37 4.21 5.58
H 2.19 5.39 1.56
H 1.65 3.09 0.76
H 3.70 1.29 2.86
H 5.91 0.20 3.12
H 4.20 -3.58 2.08
H 1.98 -2.50 1.79

~~~~~

DFT (ωB97M-V with the def2-TZVPD basis set) results for a molecular structure, C48H52F11N5O7S2V in a non-equilibrium geometry.

Structure (XYZ):
```
126
C48H52F11N5O7S2V ωB97M-V with the def2-TZVPD basis set
V 0.8798 0.2846 0.7804
C -4.3464 2.9769 -4.1791
C -3.3305 1.8380 -4.0957
C -2.3914 1.9432 -5.3059
C -4.0975 0.5098 -4.1687
C -2.5064 1.8844 -2.8068
C -1.5406 0.8916 -2.6013
C -0.7539 0.9388 -1.4625
N 0.2757 0.1237 -1.0662
C 0.9292 -0.8187 -1.8364
C 0.9600 -0.9619 -3.2130
C 1.5922 -2.0735 -3.7736
C 2.1384 -3.0244 -2.9293
C 2.1649 -2.8935 -1.5277
C 1.6336 -1.7165 -1.0153
O 1.6490 -1.3115 0.2819
C 2.7175 -4.0061 -0.6393
C 3.1561 -5.2288 -1.4485
C 3.9310 -3.5035 0.1475
C 1.6013 -4.4575 0.3159
C 1.6208 -2.2069 -5.2985
C 2.3473 -3.4699 -5.7603
C 2.3416 -0.9938 -5.9039
C 0.1843 -2.2592 -5.8394
C -1.0059 1.9181 -0.4734
O -0.2039 1.7137 0.6111
C -1.9297 2.9295 -0.6516
C -2.6626 2.8767 -1.8585
C -2.2083 4.0915 0.3062
C -1.7272 5.3917 -0.3574
C -3.7183 4.1901 0.5738
C -1.5135 3.9437 1.6580
H -4.9179 2.8883 -5.1074
H -5.0509 2.9476 -3.3441
H -3.8568 3.9540 -4.1775
H -2.9670 1.9446 -6.2375
H -1.8036 2.8632 -5.2582
H -1.6928 1.1044 -5.3420
H -4.6815 0.4564 -5.0933
H -3.4201 -0.3458 -4.1477
H -4.7820 0.4158 -3.3218
H -1.4125 0.0925 -3.3172
H 0.5181 -0.2043 -3.8451
H 2.5784 -3.9116 -3.3596
H 3.9830 -4.9952 -2.1248
H 3.5021 -5.9978 -0.7535
~~~

90 days exchange to Kay jewelers

  • Exchanges are not accepted at
  • purchases shipped to a store may only be returned to any Kay Jewelers store location
  • Your packing slip must accompany your return
  • All returns are subject to inspection by our Quality Assurance team before a refund is processed
Sams Club Anytime for full refund with receipt
  • None in jewelry with the receipt
  • Anytime for last selling price with a shopping card but no receipt
Walmart 90 Days within receiving product
  • All jewelry may be returned to a Wal-Mart store with a receipt
  • Instore exchange is applicable only for an alternate available in the store
  • Depending on the reason for return, jewlery above 300$ may be subject to return shipping cost
  • For returns or exchanges on all other jewelry purchases: You can either mail the item back using the carrier of your choice or bring it to a Wal-Mart store. Depending on the reason for the return, you may be responsible for paying the return shipping charge.
Target 90 days for new, unused, original packaged products
  • Items that have been replaced because they are damaged, defective or incorrect must be returned to a
  • Returns Center, and cannot be returned to a Target store
Nordstrom Anytime no conditions
  • Fine jewelry can be returned to selected Nordstrom stores that have a fine jewelry department
  • Packing slip and the credit card used while placing the order will be required for the return
  • This return policy is not applicable in Canada
Mondera 30 days from the date of shipment
  • Refund is subject to inspection by mondera lab to verify condition of item on receipt
  • All original Mondera paperwork must be included with the item in order for refunds to be processed.
  • Shipping and handling is NOT refunded
  • For a defective order shipping upto $15 may be refunded
  • Return Authorization Number is required for all returns
  • Badly-packaged or uninsured return packages will not be accepted
  • worn, resized, engraved, damaged, or altered in any way will not be accepted for refund or exchange.
  • Personalized items are non refundable
  • Certified diamonds must accompany original certificates without which a payment of 200$ is charged.
Tiffany 30 Days if returned in a saleable condition accompanied by a sales receipt
  • Articles are accepted for credit or exchange in the U.S. if returned in saleable condition within 30 days
  • Sales receipt is required for all returns
BJs 30 Days after the ship date for a refund
  • Full refund for shipping and handling costs for defective, damaged or mis-shipped Items
  • For all other items, shipping and handling costs will not be refunded
  • Merchandise must be in new condition with its original packing and accessories intact or it may be subject to a restocking fee.
  • Earrings cannot be returned unless unless defective or mis-shipped
  • No personalized jewelry may be returned